## What to do
Please retype only the lines underneath with the word "X-ray" in them.

## Source
=====
[1]
Structure and theoretical X-ray powder pattern of NaEuCl4 (a structure optimized by DFT (GGA-PBE); Cu Kα (λ = 1.5418 Å)).
Neutral-atom scattering factors, no anomalous dispersion.

Cell and atoms:
abc: 6.951 7.019 7.111
angles: 89.41 88.02 77.55
Positions (direct):
Na: 0.232 0.195 0.035
Na: 0.768 0.805 0.965
Eu: 0.212 0.695 0.449
Eu: 0.788 0.305 0.551
Cl: 0.047 0.503 0.746
Cl: 0.091 0.003 0.713
Cl: 0.392 0.798 0.130
Cl: 0.433 0.310 0.377
Cl: 0.567 0.690 0.623
Cl: 0.608 0.202 0.870
Cl: 0.909 0.997 0.287
Cl: 0.953 0.497 0.254

Peak list (10 most intense, 2θ = 10–90°, by angle)
Position (°2θ)  I_rel
12.5  100
16.3  41
18.0  32
20.3  57
20.8  54
28.8  29
29.2  45
30.4  36
36.4  44
41.5  36

[2]
Structure and theoretical X-ray powder pattern of EuClO (a structure optimized by DFT (GGA-PBE); Cu Kα (λ = 1.5418 Å)).
Neutral-atom scattering factors, no anomalous dispersion.

Cell and atoms:
abc: 4.030 4.030 6.812
angles: 90.00 90.00 90.00
Positions (direct):
Eu: 0.250 0.250 0.173
Eu: 0.750 0.750 0.827
Cl: 0.250 0.250 0.630
Cl: 0.750 0.750 0.370
O: 0.250 0.750 0.000
O: 0.750 0.250 0.000

Peak list (10 most intense, 2θ = 10–90°, by angle)
Position (°2θ)  I_rel
13.0  38
25.7  95
31.4  73
34.5  100
41.3  26
45.0  37
51.5  24
52.5  29
57.9  43
58.9  18

[3]
Structure and theoretical X-ray powder pattern of EuClO2 (a structure optimized by DFT (GGA-PBE); Cu Kα (λ = 1.5418 Å)).
Neutral-atom scattering factors, no anomalous dispersion.

Cell and atoms:
abc: 6.390 3.773 6.498
angles: 90.00 115.84 90.00
Positions (direct):
Eu: 0.189 0.250 0.379
Eu: 0.811 0.750 0.621
Cl: 0.256 0.750 0.053
Cl: 0.744 0.250 0.947
O: 0.048 0.250 0.656
O: 0.406 0.750 0.565
O: 0.594 0.250 0.435
O: 0.952 0.750 0.344

Peak list (10 most intense, 2θ = 10–90°, by angle)
Position (°2θ)  I_rel
15.1  100
16.2  34
26.0  55
27.5  36
28.1  34
28.3  46
28.8  100
39.0  57
47.4  38
49.4  34

[4]
Structure and theoretical X-ray powder pattern of Eu4Cl6O (a structure optimized by DFT (GGA-PBE); Cu Kα (λ = 1.5418 Å)).
Neutral-atom scattering factors, no anomalous dispersion.

Cell and atoms:
abc: 9.491 9.491 7.194
angles: 90.00 90.00 120.00
Positions (direct):
Eu: 0.197 0.394 0.000
Eu: 0.197 0.803 0.000
Eu: 0.333 0.667 0.433
Eu: 0.394 0.197 0.500
Eu: 0.606 0.803 0.000
Eu: 0.667 0.333 0.933
Eu: 0.803 0.197 0.500
Eu: 0.803 0.606 0.500
Cl: 0.068 0.534 0.714
Cl: 0.142 0.284 0.390
Cl: 0.142 0.858 0.390
Cl: 0.284 0.142 0.890
Cl: 0.466 0.534 0.714
Cl: 0.466 0.932 0.714
Cl: 0.534 0.068 0.214
Cl: 0.534 0.466 0.214
Cl: 0.716 0.858 0.390
Cl: 0.858 0.142 0.890
Cl: 0.858 0.716 0.890
Cl: 0.932 0.466 0.214
O: 0.333 0.667 0.106
O: 0.667 0.333 0.606

Peak list (10 most intense, 2θ = 10–90°, by angle)
Position (°2θ)  I_rel
10.8  27
21.6  30
24.8  31
25.0  100
31.4  29
33.1  48
35.0  41
37.9  40
38.3  21
43.7  29

[5]
Structure and theoretical X-ray powder pattern of Eu5P3ClO12 (a structure optimized by DFT (GGA-PBE); Cu Kα (λ = 1.5418 Å)).
Neutral-atom scattering factors, no anomalous dispersion.

Cell and atoms:
abc: 9.969 9.969 7.205
angles: 90.00 90.00 120.00
Positions (direct):
Eu: 0.009 0.254 0.250
Eu: 0.245 0.991 0.250
Eu: 0.254 0.245 0.750
Eu: 0.333 0.667 0.001
Eu: 0.333 0.667 0.499
Eu: 0.667 0.333 0.501
Eu: 0.667 0.333 0.999
Eu: 0.746 0.755 0.250
Eu: 0.755 0.009 0.750
Eu: 0.991 0.746 0.750
P: 0.035 0.407 0.750
P: 0.372 0.965 0.750
P: 0.407 0.372 0.250
P: 0.593 0.628 0.750
P: 0.628 0.035 0.250
P: 0.965 0.593 0.250
Cl: 0.000 0.000 0.000
Cl: 0.000 0.000 0.500
O: 0.092 0.358 0.575
O: 0.092 0.358 0.925
O: 0.118 0.588 0.750
O: 0.144 0.666 0.250
O: 0.266 0.908 0.575
O: 0.266 0.908 0.925
O: 0.334 0.479 0.250
O: 0.358 0.266 0.075
O: 0.358 0.266 0.425
O: 0.412 0.530 0.750
O: 0.470 0.882 0.750
O: 0.479 0.144 0.750
O: 0.521 0.856 0.250
O: 0.530 0.118 0.250
O: 0.588 0.470 0.250
O: 0.642 0.734 0.575
O: 0.642 0.734 0.925
O: 0.666 0.521 0.750
O: 0.734 0.092 0.075
O: 0.734 0.092 0.425
O: 0.856 0.334 0.750
O: 0.882 0.412 0.250
O: 0.908 0.642 0.075
O: 0.908 0.642 0.425
=====

## Done
Structure and theoretical X-ray powder pattern of NaEuCl4 (a structure optimized by DFT (GGA-PBE); Cu Kα (λ = 1.5418 Å)).
Structure and theoretical X-ray powder pattern of EuClO (a structure optimized by DFT (GGA-PBE); Cu Kα (λ = 1.5418 Å)).
Structure and theoretical X-ray powder pattern of EuClO2 (a structure optimized by DFT (GGA-PBE); Cu Kα (λ = 1.5418 Å)).
Structure and theoretical X-ray powder pattern of Eu4Cl6O (a structure optimized by DFT (GGA-PBE); Cu Kα (λ = 1.5418 Å)).
Structure and theoretical X-ray powder pattern of Eu5P3ClO12 (a structure optimized by DFT (GGA-PBE); Cu Kα (λ = 1.5418 Å)).